Brain in The Palm of The Han
Brain in The Palm of The Han
Brain in The Palm of The Han
Objective: Directions:
To teach students and 1. Setting the stage.
teachers about the need to Invite students to think of a time that they got really upset.
self-calm and re-gather. List a few examples on the board of things that are
To invite students to think upsetting to them (no names).
about self-regulation pro- Ask them if they can remember if it felt like they had a
actively. choice about what they did? !
To create a positive time out Did it matter to them what the other person was feeling
space. or thinking?
2. Introducing the "brain in the palm of the hand".
Materials: Board Explain that you will use your hand to model a brain.
(See drawings next page.)
Comments for teachers: Point to your wrist. The part that is closest to your
spine and near the base of your skull is called the
• This activity looks long, but can be brain stem. It keeps you awake or asleep, makes sure
done quickly. We recommend you breathe and makes sure your heart keeps beating.
you do steps 1-7 one day and It also keeps you safe.
come back, review the brain in the
Fold your thumb across your palm. The middle part of
hand and move on to step 8 the
your brain is where you process emotions and store
next day.
your memories {limbic area). It is also where you have
• We function best when we have your "safety radar" (your amygdala).
access to all parts of our brain. Fold your fingers over your thumb so you have a fist.
Under stress the prefrontal cortex The outer layer of your brain is called the cortex. It is
doesn't work well and we lose our where your thinking and planning happens.
problem solving skills. Point to your fingernails. The area of the cortex that is
• When the part of our brain that right up front is Hit prefrontal cortex. It is where the
allows us to think and respond brain processes information about how we relate to
respectfully is not functioning well, others:
we can help ourselves and others - Understanding others' feelings
by taking some time to "come - Ability to calm ourselves
back into ourselves." - Ability to make choices
- Morality
• To watch Dr. Daniel Siegel - Ability to sense what is going on for others (read
demonstrating this click here: body language) 3. Flipping our lid.
• For further details on this model for When we are really stressed or upset, the prefrontal cortex
the brain, study Parenting from the shuts down and no longer works with the rest of our brain.
Inside Out by Daniel J. Siegel, Lift the fingers up so they are straight and the thumb is
MD & Mary Hartzell, New York: still across the palm.
Jeremy P. Tarcher/Putnam, 2003, We say, "We flip our lid."
p. 171 - 183. Explain that we "flip our lid" when the thinking part
(prefrontal cortex) of our brain isn't working. It
becomes hard to use our problem solving skills.
Positive Discipline in the School and Classroom Teachers' Guide: Activities for Students
© Positive Discipline Association
4. Reflection.
Here the text breaks off for materials data:
'''
No. 1
Here is a relaxed structure of SmPaCuIr from the Alexandria database. Energies are from PBE-GGA.

Cell lengths 4.9245, 4.9245, 4.9245 Å; angles 60.00, 60.00, 60.00 degrees
With the nearest neighbours (Å) after each atom.
Positions (direct):
Sm (0.5000, 0.5000, 0.5000)  4 Cu 3.02, 4 Ir 3.02
Pa (0.0000, 0.0000, 0.0000)  4 Ir 3.02, 4 Cu 3.02
Cu (0.7500, 0.7500, 0.7500)  4 Sm 3.02, 4 Pa 3.02
Ir (0.2500, 0.2500, 0.2500)  4 Pa 3.02, 4 Sm 3.02

## Properties
- ΔE_f (eV per atom) = -0.31
- electronic total energy (eV for the cell shown) = -28.4
- calculated density (g/cm³) = 12.53

***

No. 2
Here is a relaxed structure of PaCuSnIr from the Alexandria database. Energies are from PBE-GGA.

Cell lengths 4.7772, 4.7772, 4.7772 Å; angles 60.00, 60.00, 60.00 degrees
With the nearest neighbours (Å) after each atom.
Positions (direct):
Ir (0.7500, 0.7500, 0.7500)  4 Sn 2.93, 4 Pa 2.93
Cu (0.2500, 0.2500, 0.2500)  4 Sn 2.93, 4 Pa 2.93
Pa (0.5000, 0.5000, 0.5000)  4 Cu 2.93, 4 Ir 2.93
Sn (0.0000, 0.0000, 0.0000)  4 Ir 2.93, 4 Cu 2.93

## Properties
- ΔE_f (eV per atom) = -0.36
- electronic total energy (eV for the cell shown) = -27.9
- calculated density (g/cm³) = 13.04

***

No. 3
Here is a relaxed structure of TbPaCuIr from the Alexandria database. Energies are from PBE-GGA.

Cell lengths 4.8920, 4.8920, 4.8920 Å; angles 60.00, 60.00, 60.00 degrees
With the nearest neighbours (Å) after each atom.
Positions (direct):
Tb (0.0000, 0.0000, 0.0000)  4 Ir 3.00, 4 Cu 3.00
Ir (0.7500, 0.7500, 0.7500)  4 Tb 3.00, 4 Pa 3.00
Pa (0.5000, 0.5000, 0.5000)  4 Cu 3.00, 4 Ir 3.00
Cu (0.2500, 0.2500, 0.2500)  4 Tb 3.00, 4 Pa 3.00

## Properties
- ΔE_f (eV per atom) = -0.37
- electronic total energy (eV for the cell shown) = -28.6
- calculated density (g/cm³) = 12.95

***

No. 4
Here is a relaxed structure of YPaCuIr from the Alexandria database. Energies are from PBE-GGA.

Cell lengths 4.8924, 4.8924, 4.8924 Å; angles 60.00, 60.00, 60.00 degrees
With the nearest neighbours (Å) after each atom.
Positions (direct):
Y (0.0000, 0.0000, 0.0000)  4 Cu 3.00, 4 Ir 3.00
Cu (0.7500, 0.7500, 0.7500)  4 Pa 3.00, 4 Y 3.00
Pa (0.5000, 0.5000, 0.5000)  4 Ir 3.00, 4 Cu 3.00
Ir (0.2500, 0.2500, 0.2500)  4 Y 3.00, 4 Pa 3.00

## Properties
- ΔE_f (eV per atom) = -0.37
- electronic total energy (eV for the cell shown) = -30.4
- calculated density (g/cm³) = 11.55

***

No. 5
Here is a relaxed structure of PaZnCuIr from the Alexandria database. Energies are from PBE-GGA.

Cell lengths 4.6502, 4.6502, 4.6502 Å; angles 60.00, 60.00, 60.00 degrees
With the nearest neighbours (Å) after each atom.
Positions (direct):
Pa (0.2500, 0.2500, 0.2500)  4 Ir 2.85, 4 Cu 2.85
Ir (0.0000, 0.0000, 0.0000)  4 Pa 2.85, 4 Zn 2.85
Zn (0.7500, 0.7500, 0.7500)  4 Cu 2.85, 4 Ir 2.85
Cu (0.5000, 0.5000, 0.5000)  4 Pa 2.85, 4 Zn 2.85

## Properties
- ΔE_f (eV per atom) = -0.29
- electronic total energy (eV for the cell shown) = -24.9
- calculated density (g/cm³) = 12.90

***

No. 6
'''
Here the text continues:
Ask students:
Brainstem: "Do you sometimes flip your lid or have you ever been
with someone who flipped their lid?" Invite students to
share (no names). "What did that look like?" "Feel like?"
"When you are really upset, have you ever done
something and later thought, 'Why did I do that?' or 'I
really wish I hadn't done that!' or 'What in the world was I
thinking when I did that?'" (Allow some thought about
why that might happen if the pre-frontal cortex is not
Midbrain: working at that time.)
Explain, when you are "flipped" (hand with fingers
straight), you can't learn very well either. It really helps
to calm back down so that you can solve problems.
5. A little more brain science: Mirror neurons.
Our brains are built so that we learn by copying. When you
see someone yawn do you notice that sometimes you feel
like yawning? Even babies copy what they see. Our brains
also mirror feelings. When we are with other people who are
sad, we can feel their sadness. The nerves (neurons) that do
Prefrontal cortex:
this are called mirror neurons.
Holding up one hand as a "flipped lid" ask students what
might happen to someone near that person because of
mirror neurons. (They are likely to flip their lid too.)
Holding both hands in the "flipped lid" positions, ask
students what might happen if two people approach
each other like this. (They might get into a fight.)
What might students need to do to find their thinking
brains and solve their problem? (Move away, calm
down, unflip their lids).
6. Exploring self-regulation.
Invite the students to share what they have found helpful
to calm or re-gather themselves. Make a list of some of
the tools.
Flipped lid:
7. Designing a space.
Explain that sometimes it is helpful in a classroom to
have a place to calm down, to sort out feelings and to re-
gather. This is not a place where students go as a
punishment, but a place to calm down until the student
feels better.
Either as a class or in small groups, invite students to
brainstorm what kind of calming- down place could be
created in the classroom. Ask them to think of some
possible names for the area. (Common names include:
the alone zone, Hawaii, Antarctica, the chill spot,
calming quarter.)
Make a list of the ideas from the class (or from different
groups). Invite students to fhink about the list for a day.
Positive Discipline in the School and Classroom Teachers' Guide: Activities for Students
© Positive Discipline Association
8. Deciding on the space and setting up agreements. The
next day, as a class:
Pick ideas from the list that are doable and practical for
making a time out area.
Establish a plan for how it will be created.
Vote on or choose a name for the area.
Decide if any guidelines are needed about using this
calming down place. If the students suggest guidelines,
have them select 3 or 4 from the list that can be made into
a poster as a reminder.
• It can be helpful to post a list of things that are useful when you or someone else has a "flipped lid."
When I have a "flipped lid" I could: Take 3 slow deep breaths, go to our cool-down zone, put my head
down for 30 seconds, etc. When a friend has a flipped lid, I could: Not take it personally, invite them to
breathe deeply, give them space, etc.
• Some teachers are worried students will go to the cool-down spot just to play or to avoid doing their
work. If this is one of your concerns bring it up as students are setting the guidelines. It is better to ask
instead of tell. For example, "Do you think that this will be a space to use to play?*' "What would happen
if you use the space during work time? When would you get your work done?" When a problem
develops, it is a great opportunity to review guidelines and focus on solutions. Let the class share how
they feel about the space being used this way, as well as their ideas for correcting the problem. When
only one student is consistently misusing the space, consider individual problem solving.
• A frequent question from teachers is, "What happens when the student won't go to the cool down spot?"
One reason students refuse to go is that they associate going to "time out" with being bad, or being
punished. Another reason is that when someone has "flipped" they are not totally in their thinking
brain. Some strategies that have worked for others are:
- Offer a choice." ____ , you seem upset. Do you think you can cool down at your desk, or would
it be helpful to go to the cool-down spot?"
- Offer an ear." ____ , I can tell you are upset I'd be glad to listen to what is going on for you after
I ____________ . Do you want to wait at your desk or would it be more helpful to go to the
cool down spot?"
• Some teams of teachers invite students to use the calming down space in the other classroom, so that
they are not as near the incident or people that were the trigger. It is best to do this only in extreme
situations. When students are able to stay in the same room they:
- Miss less class
- Do not risk being embarrassed by having to leave class or show up in another class
- Students see how peers can transition from feeling upset to becoming self-regulated.
*"The Brain in the Palm of the Hand" is the work of Daniel J. Siegel, M.D., first published in his book, Parenting
from the Inside Out (2003) and more recently published in The Whole-Brain Child (2011). Dr. Siegel is not
associated and/or affiliated with, and does not endorse and/or sponsor the Positive Discipline Association
and/or its activities.
Positive Discipline in the School and Classroom Teachers' Guide: Activities for Students
© Positive Discipline Association